


Many advances in civil rights have been accomplished through federal legislation.Describe the different parts of the Civil Rights Act of 1964 and the Voting Rights Act of 1965.What have these two laws accomplished?

On Jul 01, 2024

There are two components to this question.
a.Civil Rights Act of 1964: This law prohibited major forms of discrimination against racial,ethnic,national and religious minorities,and women in voting registration,schools,public accommodations,and the workplace.Specifically,the act authorized the executive branch to implement federal court orders to desegregate schools,and to do so without having to wait for individual parents to bring complaints.The act also strengthened the role of the executive branch and the credibility of court orders by providing that federal grants-in-aid to state and local governments for education must be withheld from any school system practicing racial segregation.Title VII made it unlawful to discriminate in employment on the basis of color,religion,sex,or national origin,as well as race.In order to enforce fair employment practices,the national government could revoke public contracts for goods and services and refuse to engage in contracts with any private company that could not guarantee that its rules for hiring,promoting,and firing were nondiscriminatory.After the passage of the 1964 Civil Rights Act,public accommodations quickly removed some of the most visible forms of racial discrimination.Signs defining "colored" and "white" restrooms,water fountains,waiting rooms,and seating arrangements were removed and a host of other practices that relegated black people to separate and inferior arrangements were ended.In addition,the federal government filed more than 400 antidiscrimination suits in federal courts against hotels,restaurants,taverns,gas stations,and other "public accommodations."
b.Voting Rights Act of 1965: This law protected voting rights by barring literacy and other tests as a condition for voting in six southern states,by setting criminal penalties for interference with efforts to vote,and by providing for the replacement of local registrars with federally appointed registrars in counties designated by the attorney general as significantly resistant to registering eligible blacks to vote.The Voting Rights Act significantly increased African American voting in southern states.


What are public interest groups?

On Jun 27, 2024

Students' answers may vary.
Public interest groups are any associations seeking government action, the achievement of which will not principally benefit the members of the association.


While the Federal Reserve's decision to cut the federal funds rate is expected to ________
Economic growth,its decision to raise the federal funds rate is expected to ________
Economic growth.

A) speed up; slow down
B) slow down; speed up
C) have no effect on; speed up
D) have no effect on; slow down

On Jun 01, 2024



The first provision of the Bill of Rights to be incorporated into the Fourteenth Amendment as a limitation on state power was the

A) First Amendment's protection for freedom of the press.
B) First Amendment's protection for freedom of speech.
C) First Amendment's protection for freedom of assembly.
D) Fifth Amendment's prohibition on states from taking private property for a public use without just compensation.

On May 28, 2024



Concern for the dangers of uneducated mob rule led James Madison and others of his time to caution against which of the following?

# Data records, kept here for reference
=====
Cs2KPrCl6: simulated XRD peak list (Cu Kα X-rays), based on DFT lattice parameters and positions (GGA-PBE).

Crystal structure
Cell: 11.5773 11.5773 11.5773 Å, 90.00 90.00 90.00°
Space group Fm-3m (No. 225)
Inequivalent atoms, fractional coordinates:
Cs 0.2500 0.2500 0.2500 x8
K 0.0000 0.0000 0.0000 x4
Pr 0.0000 0.0000 0.5000 x4
Cl 0.0000 0.0000 0.2621 x24

Peak list (8 most intense, 2θ from 5° to 70°, sorted by position)
2θ 13.2, 6.684 Å, I 20
2θ 21.7, 4.093 Å, I 100
2θ 26.7, 3.342 Å, I 26
2θ 30.9, 2.894 Å, I 65
2θ 38.1, 2.363 Å, I 47
2θ 44.3, 2.047 Å, I 45
2θ 49.8, 1.831 Å, I 23
2θ 59.8, 1.547 Å, I 26

----------

Sm4CICl2F2: simulated X-ray powder pattern (Cu Kα), based on a DFT-relaxed cell (GGA-PBE, OQMD).
Intensities are scaled so that the largest is 100.

Structural model:
```
data_Sm4CICl2F2
_chemical_formula_sum 'Sm8 C2 I2 Cl4 F4'
_cell_length_a 15.590
_cell_length_b 3.825
_cell_length_c 8.680
_cell_angle_alpha 90.00
_cell_angle_beta 109.79
_cell_angle_gamma 90.00
_space_group_name_H-M_alt 'C 1 2/m 1'
_space_group_IT_number 12
loop_
_space_group_symop_operation_xyz
'x,y,z'
'-x,-y,-z'
'-x,y,-z'
'x,-y,z'
'x+1/2,y+1/2,z'
'-x+1/2,-y+1/2,-z'
'-x+1/2,y+1/2,-z'
'x+1/2,-y+1/2,z'
loop_
_atom_site_label
_atom_site_type_symbol
_atom_site_fract_x
_atom_site_fract_y
_atom_site_fract_z
Sm1 Sm 0.003 0.000 0.308
Sm2 Sm 0.164 0.500 0.596
C1 C 0.000 0.500 0.500
I1 I 0.000 0.500 0.000
Cl1 Cl 0.189 0.000 0.833
F1 F 0.177 0.000 0.427
```

Most intense lines, 10° ≤ 2θ ≤ 80°, sorted by position:
- 2θ 10.83, 8.167 Å, I = 59.2, (0 0 1)
- 2θ 12.07, 7.335 Å, I = 38.3, (2 0 0)
- 2θ 18.80, 4.720 Å, I = 25.9, (2 0 1)
- 2θ 22.98, 3.871 Å, I = 26.3, (4 0 -1)
- 2θ 29.38, 3.040 Å, I = 35.8, (3 1 -1)
- 2θ 29.65, 3.013 Å, I = 25.3, (3 1 0)
- 2θ 31.20, 2.867 Å, I = 100.0, (1 1 -2)
- 2θ 33.76, 2.655 Å, I = 58.0, (4 0 -3)
- 2θ 36.76, 2.445 Å, I = 38.0, (6 0 0)
- 2θ 47.87, 1.900 Å, I = 30.0, (7 1 -2)


Cu3Te2S6Cl2: simulated X-ray powder pattern (Cu Kα), based on a DFT-relaxed cell (GGA-PBE, OQMD).
Intensities are scaled so that the largest is 100.

Structural model:
```
data_Cu3Te2S6Cl2
_chemical_formula_sum 'Cu6 Te4 S12 Cl4'
_cell_length_a 10.600
_cell_length_b 7.462
_cell_length_c 7.969
_cell_angle_alpha 90.00
_cell_angle_beta 102.54
_cell_angle_gamma 90.00
_space_group_name_H-M_alt 'C 1 2/m 1'
_space_group_IT_number 12
loop_
_space_group_symop_operation_xyz
'x,y,z'
'-x,-y,-z'
'-x,y,-z'
'x,-y,z'
'x+1/2,y+1/2,z'
'-x+1/2,-y+1/2,-z'
'-x+1/2,y+1/2,-z'
'x+1/2,-y+1/2,z'
loop_
_atom_site_label
_atom_site_type_symbol
_atom_site_fract_x
_atom_site_fract_y
_atom_site_fract_z
Cu1 Cu 0.000 0.000 0.000
Cu2 Cu 0.022 0.500 0.771
Te1 Te 0.157 0.000 0.664
S1 S 0.007 0.193 0.779
S2 S 0.156 0.500 0.109
Cl1 Cl 0.173 0.500 0.615
```

Most intense lines, 10° ≤ 2θ ≤ 80°, sorted by position:
- 2θ 17.14, 5.174 Å, I = 28.4, (2 0 0)
- 2θ 17.39, 5.101 Å, I = 47.7, (1 1 -1)
- 2θ 22.61, 3.932 Å, I = 81.8, (2 0 1)
- 2θ 22.87, 3.889 Å, I = 38.1, (0 0 2)
- 2θ 23.85, 3.731 Å, I = 100.0, (0 2 0)
=====
# The data records stop here

A) The right to bear arms
B) Freedom of speech
C) Democratic republics
D) Popular sovereignty
E) Direct democracy

On May 01, 2024



What is the constitutional protection that ensures unqualified religious freedom?

A) Freedom of association
B) Symbolic speech
C) Free exercise clause
D) Clear and present danger test
E) Elastic clause

On Apr 28, 2024